West Point cadets are "Winning the Peace" in diverse community

By Class of 2011 Cadet George Lemeur, U.S. Corps of CadetsApril 20, 2011

"Winning the Peace"
Class of 2011 Cadets Jeremy Smith and Catie Beal thank Father David Bebawy for inviting the class of "Winning the Peace" into St. George and St. Shenouda, an Egyptian Coptic Orthodox Church in Jersey City, and for providing a deeper understanding of ... (Photo Credit: U.S. Army) VIEW ORIGINAL

## Unrelated to this page: data records
=====
A gas-phase ion, C30H63BN3O7P2S (charge +1) at a distorted geometry. Source: the Open Molecules 2025 dataset; level of theory: ωB97M-V with the def2-TZVPD basis set.

Structure (XYZ):
```
107
C30H63BN3O7P2S ωB97M-V with the def2-TZVPD basis set
C 7.08 -3.24 0.13
C 8.30 -2.20 0.51
O 7.80 -0.83 0.30
C 7.49 -0.16 1.59
C 5.88 -0.29 2.01
C 5.30 1.25 2.01
C 3.78 1.40 2.63
C 2.67 1.93 1.49
C 1.84 0.64 0.80
P 0.41 0.09 2.01
C 0.34 -1.82 2.14
C 1.50 -2.48 3.12
C 0.62 0.85 3.74
C -0.74 0.45 4.62
O 2.81 -0.43 0.87
C 2.92 -1.33 -0.23
C 2.95 -0.59 -1.69
N 4.45 -0.55 -2.08
C 4.78 -1.73 -2.75
O 5.36 -2.95 -2.92
N 2.39 0.85 -1.66
P 2.20 1.33 -3.34
O 0.59 1.76 -3.86
O 2.75 0.13 -4.53
S 3.41 2.87 -3.65
C 1.23 1.00 -0.72
C 0.03 0.00 -1.20
C -1.50 0.43 -0.88
C -2.25 1.26 -2.13
C -3.89 1.04 -1.86
C -4.37 1.91 -0.56
C -5.87 1.56 0.01
C -6.41 0.05 -0.32
C -7.74 -0.23 0.60
C -8.40 -1.72 0.39
C -7.58 -2.70 -0.63
C -8.39 -4.13 -0.90
O -7.41 -5.19 -1.21
C -6.55 -4.76 -2.33
B 0.68 2.58 -0.56
O -0.22 3.00 0.58
N 1.06 3.74 -1.45
C -0.14 4.43 -2.07
C 1.82 4.83 -0.72
H 7.19 -4.15 0.89
H 7.12 -3.57 -0.99
H 6.00 -2.81 0.32
H 8.67 -2.43 1.60
H 9.24 -2.35 -0.22
H 8.18 -0.50 2.48
H 7.73 0.99 1.42
H 5.38 -0.86 1.09
H 5.71 -0.87 3.01
H 5.37 1.66 0.92
H 6.04 1.89 2.69
H 3.40 0.47 3.23
H 3.86 2.29 3.42
H 1.98 2.65 2.10
H 3.36 2.48 0.69
H -0.71 -2.13 2.63
H 0.37 -2.38 1.11
H 2.14 -3.29 2.53
H 0.95 -3.10 3.97
H 2.21 -1.66 3.57
H 0.69 2.02 3.75
H 1.52 0.35 4.34
H -1.70 0.88 4.08
H -0.83 -0.74 4.70
H -0.73 0.95 5.70
H 3.93 -1.97 -0.10
H 2.06 -2.16 -0.26
H 2.32 -1.30 -2.41
H 3.19 1.43 -1.25
H 0.71 2.15 -4.79
H 3.75 0.26 -4.65
H 0.20 -1.04 -0.63
H 0.07 -0.30 -2.35
H -2.11 -0.60 -0.85
H -1.70 0.91 0.17
H -1.91 0.89 -3.18
H -2.06 2.40 -1.92
H -4.03 -0.12 -1.77
H -4.42 1.52 -2.80
H -3.64 1.89 0.36
H -4.41 3.05 -0.91
H -5.81 1.64 1.20
H -6.69 2.37 -0.30
H -6.63 -0.10 -1.48
H -5.55 -0.74 -0.07
H -7.42 0.00 1.72
H -8.53 0.62 0.30
H -9.50 -1.56 -0.02
H -8.45 -2.21 1.47
H -6.55 -2.95 -0.09
H -7.44 -2.19 -1.68
H -9.01 -4.43 0.06
H -9.14 -3.98 -1.82
H -6.17 -5.65 -2.99
H -7.11 -4.01 -3.07
H -5.59 -4.18 -1.94
H -1.14 3.06 0.15
H -0.92 4.83 -1.28
H -0.70 3.81 -2.89
H 0.27 5.41 -2.62
H 2.74 4.45 -0.10
H 1.06 5.37 -0.01
H 2.24 5.58 -1.54
```

Net charge ... +1
Energy above the lowest of the compared OMol25 structures with the same formula, charge and spin ... 426.2 kcal per mole
LUMO energy ... -4.11 eV
Orbital gap ... 6.207 eV

4 unconnected molecules or ions with the total composition C30H64BrN4O7PSSi. Source: the Open Molecules 2025 dataset; level of theory: ωB97M-V with the def2-TZVPD basis set.

Structure (XYZ):
```
109
C30H64BrN4O7PSSi ωB97M-V with the def2-TZVPD basis set
C 3.82 3.03 3.91
Si 3.74 1.89 2.42
C 5.48 1.29 2.02
C 2.58 0.46 2.81
C 2.84 -0.85 2.04
C 2.32 -0.91 0.60
C 0.90 -1.43 0.41
C -0.24 -0.50 0.88
C -1.26 -0.17 -0.22
C -2.60 0.34 0.33
C -2.84 1.83 0.04
C -3.93 2.49 0.88
P -3.64 2.36 2.72
N -4.33 3.43 3.61
O -3.80 3.92 0.67
S -5.07 4.58 -0.01
O -5.95 5.13 0.96
O -4.67 5.31 -1.16
=====
## End of the data records

WEST POINT, N.Y. (April 20, 2011) -- From April 7-9, 32 cadets taking the class "Winning the Peace," visited Jersey City's many different ethno-religious communities to develop their understanding of and ability to interact with a myriad of other cultures and religious groups.

**Unrelated to this piece: records of molecules:**
┌──
ORCA calculation (ωB97M-V/def2-TZVPD) on C43H45BrN4PSTa as an isolated structure.

Properties
ΔE to the lowest compared entry with this formula, charge and spin (kJ/mol): 41.7
Largest force on an atom (eV/A): 1.919
Charge: +2
HOMO (eV): -13.22

Geometry as XYZ:
```
96
Properties=species:S:1:pos:R:3:mulliken_charge:R:1
Ta -0.9412 0.0593 0.1028 -0.4436
C -0.3477 -1.1858 5.1990 -1.6688
C -1.3112 -1.0415 4.0215 0.5681
C -1.4068 -2.3645 3.2697 -1.6129
P -0.9245 0.3896 2.8925 0.5625
C -1.9575 1.7513 3.5641 0.5044
C -1.8968 2.9926 2.6754 -1.4135
C -1.6617 2.0957 5.0239 -1.6600
C 0.8302 0.7600 3.0689 0.5881
C 1.4568 1.1217 4.2636 -0.3813
C 2.8346 1.2803 4.3457 0.0477
C 3.5084 1.6530 5.6448 -1.6856
C 3.5762 1.0484 3.1883 -1.3052
C 2.9691 0.7050 1.9903 -0.7066
C 1.5910 0.5762 1.9266 0.4760
N 0.9094 0.2854 0.6978 1.1164
C 1.6886 0.1898 -0.5253 -0.1614
C 2.1168 1.3666 -1.1705 1.0156
C 1.8382 2.7438 -0.6327 -1.6917
C 2.9216 1.2283 -2.2899 -0.3537
C 3.3313 -0.0198 -2.7599 0.2204
C 4.2165 -0.1267 -3.9764 -1.4600
C 2.9136 -1.1626 -2.0788 -0.8041
C 2.1138 -1.0821 -0.9513 0.5995
C 1.8309 -2.3180 -0.1370 -1.3821
H -0.6971 -2.0157 5.8179 0.5052
H -0.3031 -0.3043 5.8368 0.3219
H 0.6634 -1.4213 4.8610 0.3798
H -2.3060 -0.7970 4.3995 0.7209
H -0.4916 -2.5723 2.7033 0.2402
H -2.2700 -2.3679 2.6062 0.4170
H -1.5446 -3.1829 3.9800 0.5951
H -2.9650 1.3306 3.5040 0.7042
H -0.8658 3.2741 2.4352 0.2115
H -2.3554 3.8395 3.1885 0.5733
H -2.4574 2.8291 1.7598 0.3874
H -0.7133 2.6251 5.1238 0.3964
H -1.6652 1.2271 5.6845 0.3493
H -2.4468 2.7690 5.3726 0.4965
H 0.8685 1.2764 5.1595 0.2505
H 2.7950 2.0454 6.3695 0.3840
H 4.2819 2.4051 5.4843 0.4104
H 3.9930 0.7810 6.0907 0.3427
H 4.6584 1.1451 3.2220 0.4625
H 3.5726 0.5492 1.1023 0.6512
H 1.0459 2.7597 0.1056 -0.1127
H 1.5683 3.4258 -1.4415 0.5331
H 2.7425 3.1356 -0.1574 0.4711
H 3.2726 2.1275 -2.7937 0.5274
H 4.9546 0.6764 -3.9972 0.3956
H 3.6251 -0.0419 -4.8953 0.2363
H 4.7400 -1.0823 -4.0087 0.4227
H 3.2619 -2.1378 -2.4103 0.5009
H 2.0839 -3.2175 -0.6979 0.4618
H 0.7920 -2.4053 0.1748 0.1845
H 2.4359 -2.3127 0.7743 0.3210
C -1.6822 4.0455 -1.6599 -0.8894
C -1.3562 3.8628 -2.9983 -1.1335
C -0.9497 2.6255 -3.4753 -0.2129
C -0.8608 1.5167 -2.6366 0.2147
C -1.1366 1.7179 -1.2672 1.0604
C -1.5631 2.9704 -0.8066 -0.3176
C -1.1424 -0.9661 -2.8676 0.0212
C -1.0639 -2.1376 -3.9656 -0.8121
C -0.9051 -3.4554 -3.4655 -2.0493
C -1.1966 -3.7885 -2.1776 1.2312
C -1.2594 -5.1561 -1.7371 -1.0543
C -1.5122 -5.4569 -0.4458 -1.1896
C -1.6705 -4.3925 0.4930 -0.1797
C -1.5674 -3.0930 0.1162 0.2381
C -1.3413 -2.7286 -1.2253 0.2601
N -1.1119 -1.4380 -1.5177 0.5221
H -2.0175 5.0073 -1.2901 0.4670
H -1.4230 4.6925 -3.6929 0.4149
H -0.6967 2.5427 -4.5201 0.4710
H -1.7900 3.1190 0.2368 -0.4404
H -0.5781 -1.9279 -4.8999 0.5492
H -0.5086 -4.2109 -4.1397 0.5136
H -1.1397 -5.9369 -2.4813 0.4971
H -1.5974 -6.4847 -0.1183 0.4367
H -1.8761 -4.6276 1.5333 0.5064
H -1.7091 -2.3109 0.8497 -0.4721
Br -3.8494 -2.1934 -3.0516 0.0322
C -2.3167 -1.2872 -3.7496 1.4749
└──
**The piece goes on:**

The three-day trip concluded with a moving visit to the World Trade Center tribute museum in lower Manhattan-an experience which provided context and meaning to the three-day cultural immersion capstone event for the Department of Social Sciences' "Winning the Peace" course members.

**These calculated molecules were left in the piece by mistake**
____________
--- 1 ---
This record from the OMol25 dataset describes 10 unconnected molecules or ions with the total composition C40H70N10. The level of theory is ωB97M-V with the def2-TZVPD basis set.

Positions of all 120 atoms, in Å:
1 C 8.28630 -5.37114 16.78154
2 C 7.56717 -4.58294 15.70259
3 C 6.04891 -4.73475 15.72053
4 C 5.51928 -6.10101 15.91834
5 N 5.00841 -7.16802 16.07581
6 H 7.99472 -4.99654 17.76274
7 H 9.35661 -5.22005 16.64116
8 H 8.07350 -6.43972 16.75054
9 H 7.88377 -4.88407 14.70401
10 H 7.79395 -3.52151 15.80280
11 H 5.72364 -4.43683 14.72376
12 H 5.61140 -4.05830 16.45475
13 C 1.37474 -1.83602 8.34996
14 C 2.39362 -0.95119 9.18189
15 C 2.52534 -1.43165 10.62155
16 C 3.04066 -2.84204 10.73438
17 N 3.38428 -3.95194 10.76971
18 H 1.10521 -1.39592 7.38987
19 H 0.40562 -1.88028 8.84691
20 H 1.81234 -2.81763 8.16814
21 H 1.91920 0.02450 9.07682
22 H 3.39060 -0.82093 8.76100
23 H 1.58361 -1.41001 11.16998
24 H 3.22312 -0.83424 11.20834
25 C 3.32175 -10.89656 10.99132
26 C 3.83969 -9.67977 11.80725
27 C 5.40152 -9.53381 11.82601
28 C 6.04577 -10.64670 12.53190
29 N 6.59885 -11.52346 13.00751
30 H 2.23575 -10.91000 11.08357
31 H 3.69122 -11.85840 11.34697
32 H 3.55586 -10.90704 9.92681
33 H 3.46794 -9.88299 12.81153
34 H 3.44353 -8.72775 11.45394
35 H 5.78723 -8.62731 12.29245
36 H 5.81058 -9.53957 10.81570
37 C 8.34641 -2.37152 11.12410
38 C 9.76336 -2.10882 10.48838
39 C 11.03216 -2.58966 11.25918
40 C 10.99885 -2.31711 12.68742
41 N 11.04025 -2.07210 13.78926
42 H 8.21481 -3.42470 11.37230
43 H 7.51596 -2.01455 10.51499
44 H 8.21213 -1.75116 12.01023
45 H 9.80103 -1.02437 10.38530
46 H 9.86886 -2.48354 9.47026
47 H 11.88186 -2.10849 10.77483
48 H 11.15650 -3.67121 11.20534
49 C 2.70111 2.36402 18.64691
50 C 3.83282 1.33134 18.82860
51 C 3.53021 -0.12414 18.43982
52 C 2.87692 -0.25396 17.15277
53 N 2.31608 -0.33770 16.14468
54 H 2.45848 2.57336 17.60508
55 H 3.00444 3.30177 19.11243
56 H 1.74889 2.07605 19.09237
57 H 4.24597 1.32091 19.83721
58 H 4.73744 1.61386 18.29013
59 H 2.83968 -0.66478 19.08710
60 H 4.41473 -0.76104 18.43047
61 C -3.72091 -3.37047 7.07480
62 C -3.86556 -2.07601 6.15036
63 C -4.57856 -0.93845 6.90284
64 C -4.08877 -0.64592 8.28632
65 N -3.71004 -0.43124 9.36584
66 H -3.14922 -4.16722 6.59893
67 H -4.69328 -3.84993 7.18755
68 H -3.16736 -3.19121 7.99650
69 H -4.40306 -2.32220 5.23462
70 H -2.89535 -1.70678 5.81802
71 H -5.61630 -1.24246 7.03984
72 H -4.49624 0.01377 6.37881
73 C -0.90630 -2.85194 1.69734
74 C -0.61381 -4.15237 0.91369
75 C 0.64215 -4.88124 1.45311
76 C 0.69811 -4.97429 2.92367
77 N 0.77443 -5.00734 4.06961
78 H -0.00410 -2.24326 1.63696
79 H -1.24207 -3.03190 2.71860
80 H -1.72224 -2.37507 1.15425
81 H -0.59909 -4.03765 -0.17015
82 H -1.48637 -4.79812 1.01240
83 H 1.55592 -4.41192 1.08860
84 H 0.75738 -5.90118 1.08629
85 C -1.66495 -4.09056 14.62120
86 C -0.39943 -4.62889 13.92269
87 C -0.03039 -6.07526 14.22780
88 C -0.87884 -7.05602 13.55937
89 N -1.52126 -7.80200 13.00729
90 H -1.82086 -3.02248 14.46947
____________

In its seventh year, the program aims to prepare future officers for their roles in creating a stable environment in the wake of conventional operations. The program provides the opportunity to engage a diverse population and better understand the precursors to stability among different ethnic and religious groups.

The experiences from the Jersey City trip provided cadets with invaluable knowledge regarding the methods required to develop and sustain a multi-ethnic and multi-religious community peacefully.

After being graciously invited into Jersey City's Christian, Coptic-Christian, Hindu, Islamic and Jewish communities, the cadets were able to engage community leaders on key questions about their respective cultures and volatile issues about the relationships between different groups in the community.

To many of the cadets, the visit to the Alghazaly Islamic Cultural Center of Jersey City seemed more like a trip to Egypt than to New Jersey.

As is customary in mosques, the female cadets donned traditional head coverings called hijabs-all for the first time. The cadets had a chance to discuss this tradition with women from the Muslim community.

During the question-and-answer session April 7, the hosts of the event with Islamic community leaders implored the cadets to ask any question, including those on controversial topics such as women in Islam or Sharia law.

Hany El-Banna, Ph.D., fielded questions from the cadets ranging from Islamic history and tradition to broader theological topics and the American role in the Libyan conflict.

As the founder of a network of Islamic charities and an Islamic scholar in his own right, El-Banna gave great insight on Islam to the cadets. While the atmosphere was tense at times, it was a candid, open discussion that swelled the cadets' senses of rapport and understanding.

Later in the trip, at a Pakistani mosque, the cadets had the opportunity to engage Imam Hafiz Ghulam Yasin Qadri Rizvi over a traditional Pakistani spread covering multiple tables that included lamb sausage, kebabs, basmati rice with vegetables and other delicacies.

A question about Ijtihad, or Islamic legal interpretation, generated a lengthy discussion with the Imam about Islamic decision-making. After the conversation, the cadets received a competing perspective from a different school of thought regarding the practice.

The three-day experience gave the cadets a deeper understanding of the nuances of different cultures and religions-a critical skill that they will use as officers in today's operational environment.

The cadets' interactions with members of the Jersey City community demonstrated how people with different perspectives and beliefs can peacefully live and work together.